To do.
Reproduce everything underneath verbatim, please.

Entries.
____________
# RbZn2P
Computed PXRD pattern, CuKα. Input: a cell relaxed with GGA-PBE.
No peak broadening, texture or thermal motion is included.

```
16
Lattice="5.250 0.000 0.000 0.000 5.250 0.000 0.000 0.000 16.723" Properties=species:S:1:pos:R:3 pbc="T T T"
Rb 0.000 1.313 6.271
Rb 0.000 3.938 10.452
Rb 2.625 1.313 2.090
Rb 2.625 3.938 14.633
Zn 0.000 0.000 0.000
Zn 0.000 2.625 0.000
Zn 1.313 1.313 12.542
Zn 1.313 3.938 4.181
Zn 2.625 0.000 8.361
Zn 2.625 2.625 8.361
Zn 3.938 1.313 12.542
Zn 3.938 3.938 4.181
P 0.000 1.313 14.633
P 0.000 3.938 2.090
P 2.625 1.313 10.452
P 2.625 3.938 6.271
```

Largest 10 diffraction maxima, in order of rising 2θ, 2θ from 10° to 90°:
| 2θ/deg | I (rel.) |
| --- | --- |
| 23.27 | 1000 |
| 26.27 | 864 |
| 31.72 | 462 |
| 35.85 | 552 |
| 38.73 | 537 |
| 40.47 | 258 |
| 40.58 | 256 |
| 43.28 | 264 |
| 47.58 | 241 |
| 54.05 | 533 |

---

# PrMg2AlHg2
Computed PXRD pattern, CuKα. Input: a cell relaxed with GGA-PBE.
No peak broadening, texture or thermal motion is included.

```
12
Lattice="5.348 0.000 0.000 0.000 5.348 0.000 0.000 0.000 11.604" Properties=species:S:1:pos:R:3 pbc="T T T"
Pr 0.000 0.000 0.000
Pr 2.674 2.674 5.802
Mg 0.000 2.674 2.901
Mg 0.000 2.674 8.703
Mg 2.674 0.000 2.901
Mg 2.674 0.000 8.703
Al 0.000 0.000 5.802
Al 2.674 2.674 0.000
Hg 0.000 0.000 3.260
Hg 0.000 0.000 8.344
Hg 2.674 2.674 2.542
Hg 2.674 2.674 9.062
```

Largest 10 diffraction maxima, in order of rising 2θ, 2θ from 10° to 90°:
| 2θ/deg | I (rel.) |
| --- | --- |
| 15.27 | 311 |
| 23.53 | 1000 |
| 28.48 | 525 |
| 30.82 | 246 |
| 33.51 | 595 |
| 39.14 | 330 |
| 44.54 | 319 |
| 46.17 | 324 |
| 48.12 | 217 |
| 58.26 | 328 |

---

# Ac3LaRh
Computed PXRD pattern, CuKα. Input: a cell relaxed with GGA-PBE.
No peak broadening, texture or thermal motion is included.

```
5
Lattice="5.878 0.000 0.000 0.000 5.878 0.000 0.000 0.000 5.878" Properties=species:S:1:pos:R:3 pbc="T T T"
Ac 0.000 0.000 2.939
Ac 0.000 2.939 0.000
Ac 2.939 0.000 0.000
La 2.939 2.939 2.939
Rh 0.000 0.000 0.000
```

Largest 10 diffraction maxima, in order of rising 2θ, 2θ from 10° to 90°:
| 2θ/deg | I (rel.) |
| --- | --- |
| 15.07 | 206 |
| 26.26 | 1000 |
| 30.41 | 890 |
| 43.55 | 677 |
| 51.57 | 494 |
| 54.04 | 242 |
| 69.74 | 204 |
| 71.82 | 313 |
| 79.96 | 236 |
| 85.92 | 162 |

---

# TbGa12Rh6
Computed PXRD pattern, CuKα. Input: a cell relaxed with GGA-PBE.
No peak broadening, texture or thermal motion is included.

```
19
Lattice="5.678 3.278 2.870 -5.678 3.278 2.870 0.000 -6.557 2.870" Properties=species:S:1:pos:R:3 pbc="T T T"
Tb 0.000 0.000 0.000
Ga -2.192 -3.797 4.305
Ga -4.385 0.000 4.305
Ga -1.515 -0.875 2.697
Ga 1.515 -0.875 2.697
Ga 0.000 1.749 2.697
Ga 2.192 -3.797 4.305
Ga -2.192 3.797 4.305
Ga 0.000 -1.749 5.913
Ga -1.515 0.875 5.913
Ga 1.515 0.875 5.913
Ga 4.385 0.000 4.305
Ga 2.192 3.797 4.305
Rh 0.000 -2.787 3.601
Rh -2.414 1.394 3.601
Rh -2.414 -1.394 5.009
Rh 2.414 1.394 3.601
Rh 2.414 -1.394 5.009
Rh 0.000 2.787 5.009
```

Largest 10 diffraction maxima, in order of rising 2θ, 2θ from 10° to 90°:
| 2θ/deg | I (rel.) |
| --- | --- |
| 26.11 | 662 |
| 31.80 | 360 |
| 34.49 | 1000 |
| 35.03 | 687 |
| 39.09 | 297 |
| 41.37 | 703 |
| 41.83 | 608 |
| 45.38 | 474 |
| 46.03 | 806 |
| 51.05 | 643 |

---

# BaGe2TeS8
Computed PXRD pattern, CuKα. Input: a cell relaxed with GGA-PBE.
No peak broadening, texture or thermal motion is included.

```
12
Lattice="3.079 1.778 9.011 -3.079 1.778 9.011 0.000 -3.556 9.011" Properties=species:S:1:pos:R:3 pbc="T T T"
Ba 0.000 0.000 0.000
Ge 0.000 0.000 6.669
Ge 0.000 0.000 20.363
Te 0.000 0.000 13.516
S -0.923 -1.950 11.965
S -2.150 -0.176 15.068
S 0.000 0.000 8.876
S -1.227 1.774 11.965
S 1.227 -1.774 15.068
S 0.000 0.000 18.157
S 2.150 0.176 11.965
S 0.923 1.950 15.068
```

Largest 10 diffraction maxima, in order of rising 2θ, 2θ from 10° to 90°:
| 2θ/deg | I (rel.) |
| --- | --- |
| 21.22 | 1000 |
| 29.00 | 523 |
| 30.68 | 218 |
| 31.34 | 421 |
| 35.30 | 296 |
| 36.21 | 353 |
| 47.04 | 305 |
| 50.18 | 417 |
____________

Written answer.
# RbZn2P
Computed PXRD pattern, CuKα. Input: a cell relaxed with GGA-PBE.
No peak broadening, texture or thermal motion is included.

```
16
Lattice="5.250 0.000 0.000 0.000 5.250 0.000 0.000 0.000 16.723" Properties=species:S:1:pos:R:3 pbc="T T T"
Rb 0.000 1.313 6.271
Rb 0.000 3.938 10.452
Rb 2.625 1.313 2.090
Rb 2.625 3.938 14.633
Zn 0.000 0.000 0.000
Zn 0.000 2.625 0.000
Zn 1.313 1.313 12.542
Zn 1.313 3.938 4.181
Zn 2.625 0.000 8.361
Zn 2.625 2.625 8.361
Zn 3.938 1.313 12.542
Zn 3.938 3.938 4.181
P 0.000 1.313 14.633
P 0.000 3.938 2.090
P 2.625 1.313 10.452
P 2.625 3.938 6.271
```

Largest 10 diffraction maxima, in order of rising 2θ, 2θ from 10° to 90°:
| 2θ/deg | I (rel.) |
| --- | --- |
| 23.27 | 1000 |
| 26.27 | 864 |
| 31.72 | 462 |
| 35.85 | 552 |
| 38.73 | 537 |
| 40.47 | 258 |
| 40.58 | 256 |
| 43.28 | 264 |
| 47.58 | 241 |
| 54.05 | 533 |

---

# PrMg2AlHg2
Computed PXRD pattern, CuKα. Input: a cell relaxed with GGA-PBE.
No peak broadening, texture or thermal motion is included.

```
12
Lattice="5.348 0.000 0.000 0.000 5.348 0.000 0.000 0.000 11.604" Properties=species:S:1:pos:R:3 pbc="T T T"
Pr 0.000 0.000 0.000
Pr 2.674 2.674 5.802
Mg 0.000 2.674 2.901
Mg 0.000 2.674 8.703
Mg 2.674 0.000 2.901
Mg 2.674 0.000 8.703
Al 0.000 0.000 5.802
Al 2.674 2.674 0.000
Hg 0.000 0.000 3.260
Hg 0.000 0.000 8.344
Hg 2.674 2.674 2.542
Hg 2.674 2.674 9.062
```

Largest 10 diffraction maxima, in order of rising 2θ, 2θ from 10° to 90°:
| 2θ/deg | I (rel.) |
| --- | --- |
| 15.27 | 311 |
| 23.53 | 1000 |
| 28.48 | 525 |
| 30.82 | 246 |
| 33.51 | 595 |
| 39.14 | 330 |
| 44.54 | 319 |
| 46.17 | 324 |
| 48.12 | 217 |
| 58.26 | 328 |

---

# Ac3LaRh
Computed PXRD pattern, CuKα. Input: a cell relaxed with GGA-PBE.
No peak broadening, texture or thermal motion is included.

```
5
Lattice="5.878 0.000 0.000 0.000 5.878 0.000 0.000 0.000 5.878" Properties=species:S:1:pos:R:3 pbc="T T T"
Ac 0.000 0.000 2.939
Ac 0.000 2.939 0.000
Ac 2.939 0.000 0.000
La 2.939 2.939 2.939
Rh 0.000 0.000 0.000
```

Largest 10 diffraction maxima, in order of rising 2θ, 2θ from 10° to 90°:
| 2θ/deg | I (rel.) |
| --- | --- |
| 15.07 | 206 |
| 26.26 | 1000 |
| 30.41 | 890 |
| 43.55 | 677 |
| 51.57 | 494 |
| 54.04 | 242 |
| 69.74 | 204 |
| 71.82 | 313 |
| 79.96 | 236 |
| 85.92 | 162 |

---

# TbGa12Rh6
Computed PXRD pattern, CuKα. Input: a cell relaxed with GGA-PBE.
No peak broadening, texture or thermal motion is included.

```
19
Lattice="5.678 3.278 2.870 -5.678 3.278 2.870 0.000 -6.557 2.870" Properties=species:S:1:pos:R:3 pbc="T T T"
Tb 0.000 0.000 0.000
Ga -2.192 -3.797 4.305
Ga -4.385 0.000 4.305
Ga -1.515 -0.875 2.697
Ga 1.515 -0.875 2.697
Ga 0.000 1.749 2.697
Ga 2.192 -3.797 4.305
Ga -2.192 3.797 4.305
Ga 0.000 -1.749 5.913
Ga -1.515 0.875 5.913
Ga 1.515 0.875 5.913
Ga 4.385 0.000 4.305
Ga 2.192 3.797 4.305
Rh 0.000 -2.787 3.601
Rh -2.414 1.394 3.601
Rh -2.414 -1.394 5.009
Rh 2.414 1.394 3.601
Rh 2.414 -1.394 5.009
Rh 0.000 2.787 5.009
```

Largest 10 diffraction maxima, in order of rising 2θ, 2θ from 10° to 90°:
| 2θ/deg | I (rel.) |
| --- | --- |
| 26.11 | 662 |
| 31.80 | 360 |
| 34.49 | 1000 |
| 35.03 | 687 |
| 39.09 | 297 |
| 41.37 | 703 |
| 41.83 | 608 |
| 45.38 | 474 |
| 46.03 | 806 |
| 51.05 | 643 |

---

# BaGe2TeS8
Computed PXRD pattern, CuKα. Input: a cell relaxed with GGA-PBE.
No peak broadening, texture or thermal motion is included.

```
12
Lattice="3.079 1.778 9.011 -3.079 1.778 9.011 0.000 -3.556 9.011" Properties=species:S:1:pos:R:3 pbc="T T T"
Ba 0.000 0.000 0.000
Ge 0.000 0.000 6.669
Ge 0.000 0.000 20.363
Te 0.000 0.000 13.516
S -0.923 -1.950 11.965
S -2.150 -0.176 15.068
S 0.000 0.000 8.876
S -1.227 1.774 11.965
S 1.227 -1.774 15.068
S 0.000 0.000 18.157
S 2.150 0.176 11.965
S 0.923 1.950 15.068
```

Largest 10 diffraction maxima, in order of rising 2θ, 2θ from 10° to 90°:
| 2θ/deg | I (rel.) |
| --- | --- |
| 21.22 | 1000 |
| 29.00 | 523 |
| 30.68 | 218 |
| 31.34 | 421 |
| 35.30 | 296 |
| 36.21 | 353 |
| 47.04 | 305 |
| 50.18 | 417 |